Data >
'''
[1]
VASP calculation (PBE-GGA) on an optimized crystal structure of Na2Al3Si3HNO12.

a b c (Å): 17.697 15.563 5.376
angles (deg): 90.00 90.00 90.00
Atoms (fractional coordinates):
Na1 0.090 0.230 0.000
Na2 0.095 0.775 0.996
Na3 0.405 0.275 0.496
Na4 0.410 0.730 0.500
Na5 0.590 0.270 0.000
Na6 0.595 0.725 0.996
Na7 0.905 0.225 0.496
Na8 0.910 0.770 0.500
Al1 0.040 0.605 0.564
Al2 0.044 0.899 0.550
Al3 0.191 0.243 0.526
Al4 0.309 0.743 0.026
Al5 0.456 0.399 0.050
Al6 0.460 0.105 0.064
Al7 0.540 0.895 0.564
Al8 0.544 0.601 0.550
Al9 0.691 0.257 0.526
Al10 0.809 0.757 0.026
Al11 0.956 0.101 0.050
Al12 0.960 0.395 0.064
Si1 0.053 0.108 0.553
Si2 0.062 0.387 0.563
Si3 0.175 0.546 0.593
Si4 0.325 0.046 0.093
Si5 0.438 0.887 0.063
Si6 0.447 0.608 0.053
Si7 0.553 0.392 0.553
Si8 0.562 0.113 0.563
Si9 0.675 0.954 0.593
Si10 0.825 0.454 0.093
Si11 0.938 0.613 0.063
Si12 0.947 0.892 0.053
H1 0.220 0.526 0.367
H2 0.280 0.026 0.867
H3 0.720 0.974 0.367
H4 0.780 0.474 0.867
N1 0.219 0.505 0.868
N2 0.281 0.005 0.368
N3 0.719 0.995 0.868
N4 0.781 0.495 0.368
O1 0.000 0.372 0.779
O2 0.000 0.628 0.279
O3 0.008 0.858 0.267
O4 0.020 0.140 0.281
O5 0.025 0.368 0.294
O6 0.065 0.006 0.566
O7 0.085 0.494 0.570
O8 0.130 0.841 0.612
O9 0.132 0.159 0.617
O10 0.133 0.639 0.615
O11 0.140 0.337 0.612
O12 0.204 0.222 0.204
O13 0.213 0.740 0.105
O14 0.287 0.240 0.605
O15 0.296 0.722 0.704
O16 0.360 0.837 0.112
O17 0.367 0.139 0.115
O18 0.368 0.659 0.117
O19 0.370 0.341 0.112
O20 0.415 0.994 0.070
O21 0.435 0.506 0.066
O22 0.475 0.868 0.794
O23 0.480 0.640 0.781
O24 0.492 0.358 0.767
O25 0.500 0.128 0.779
O26 0.500 0.872 0.279
O27 0.508 0.642 0.267
O28 0.520 0.360 0.281
O29 0.525 0.132 0.294
O30 0.565 0.494 0.566
O31 0.585 0.006 0.570
O32 0.630 0.659 0.612
O33 0.632 0.341 0.617
O34 0.633 0.861 0.615
O35 0.640 0.163 0.612
O36 0.704 0.278 0.204
O37 0.713 0.760 0.105
O38 0.787 0.260 0.605
O39 0.796 0.778 0.704
O40 0.860 0.663 0.112
O41 0.867 0.361 0.115
O42 0.868 0.841 0.117
O43 0.870 0.159 0.112
O44 0.915 0.506 0.070
O45 0.935 0.994 0.066
O46 0.975 0.632 0.794
O47 0.980 0.860 0.781
O48 0.992 0.142 0.767

Raw total energy: -564.43 eV/cell
Spin magnetization: 20.09 μB/cell
Energy of formation: -2.186 eV/atom
Symmetry: Pna2_1


[2]
VASP calculation (PBE-GGA) on an optimized crystal structure of Al11H2NO17.

a b c (Å): 22.866 5.654 5.654
angles (deg): 119.95 90.00 90.00
Atoms (fractional coordinates):
Al1 0.000 0.001 0.001
Al2 0.025 0.667 0.333
Al3 0.106 0.170 0.335
Al4 0.107 0.171 0.834
Al5 0.107 0.667 0.833
Al6 0.175 0.666 0.333
Al7 0.325 0.666 0.333
Al8 0.393 0.171 0.834
Al9 0.393 0.667 0.833
Al10 0.394 0.170 0.335
Al11 0.475 0.667 0.333
Al12 0.500 0.001 0.001
Al13 0.525 0.333 0.667
Al14 0.606 0.335 0.170
Al15 0.607 0.833 0.667
Al16 0.607 0.834 0.171
Al17 0.675 0.333 0.666
Al18 0.825 0.333 0.666
Al19 0.893 0.833 0.667
Al20 0.893 0.834 0.171
Al21 0.894 0.335 0.170
Al22 0.975 0.333 0.667
H1 0.250 0.399 0.866
H2 0.250 0.400 0.531
H3 0.750 0.531 0.400
H4 0.750 0.866 0.399
N1 0.250 0.311 0.655
N2 0.750 0.655 0.311
O1 0.049 0.315 0.157
O2 0.049 0.844 0.685
O3 0.050 0.844 0.158
O4 0.055 0.333 0.666
O5 0.141 0.002 0.001
O6 0.144 0.501 0.503
O7 0.144 0.501 0.998
O8 0.146 0.007 0.503
O9 0.250 0.622 0.312
O10 0.354 0.007 0.503
O11 0.356 0.501 0.503
O12 0.356 0.501 0.998
O13 0.359 0.002 0.001
O14 0.445 0.333 0.666
O15 0.450 0.844 0.158
O16 0.451 0.315 0.157
O17 0.451 0.844 0.685
O18 0.549 0.157 0.315
O19 0.549 0.685 0.844
O20 0.550 0.158 0.844
O21 0.555 0.666 0.333
O22 0.641 0.001 0.002
O23 0.644 0.503 0.501
O24 0.644 0.998 0.501
O25 0.646 0.503 0.007
O26 0.750 0.312 0.622
O27 0.854 0.503 0.007
O28 0.856 0.503 0.501
O29 0.856 0.998 0.501
O30 0.859 0.001 0.002
O31 0.945 0.666 0.333
O32 0.950 0.158 0.844
O33 0.951 0.157 0.315
O34 0.951 0.685 0.844

Raw total energy: -440.75 eV/cell
Spin magnetization: 4.00 μB/cell
Energy of formation: -2.955 eV/atom
Symmetry: Ama2


[3]
VASP calculation (PBE-GGA) on an optimized crystal structure of Al4P5HN2O21.

a b c (Å): 5.154 21.886 8.400
'''

Wanted >
Now count the lines further above that contain the word "O18" and give the number alone.

Done >
2